How to configure OpenVPN shared key tunnels using pfSense and OpenWRT.

Ver. 1.0 (11.1.2006) Author: Ville Leinonen

Intro In this document I try to explain how to configure ssl-based site-to-site tunnels using pfSense /1/ and OpenWRT /2/. In this example I use shared key, because it’s easiest way to set up site-to-site tunnel. Bad thing for this is that I can use only one tunnel/key, but it’s enough for me. This document assume that reader have some experience how to use pfSense and OpenWRT.


Bellow is picture for this document example environment. WAN address for pfSense is picked up in my head.

Picture 1. Example network environment.

Home office: LAN: WAN: dhcp Tun0:

pfSense: LAN: WAN: Tun0:

Generating key

You must generate shared static key.

Step 1. Take ssh session to your pfSense . Step 2. Select 8 and press enter.

pfSense console setup *********************** 0) Logout (SSH only) 1) Assign Interfaces 2) Set LAN IP address 3) Reset webConfigurator password 4) Reset to factory defaults 5) Reboot system 6) Halt system 7) Ping host 8) Shell 9) PFtop 10) Filter Logs 11) Restart webConfigurator

Enter an option: 8

Misplaced data records >
Computed PXRD pattern
Compound: NaSrS2O6
Radiation: λ = 1.5418 Å (Cu Kα)
Structure: a cell relaxed with PBE
Intensities are scaled so that the largest is 1000.

Structural model:
Lattice parameters (Å, degrees): 5.4412 5.4412 17.9458 90.00 90.00 120.00
Space group R-3 (No. 148, hexagonal axes)
Unique sites:
Na: 0.0000 0.0000 0.0000 x3
Sr: 0.0000 0.0000 0.5000 x3
S: 0.0000 0.0000 0.2775 x6
O: 0.0252 0.2744 0.7519 x18

The 12 most intense peaks (2θ = 10–90°), by angle:
| 2θ (°) | intensity | (hkl) |
| --- | --- | --- |
| 19.48 | 289 | 1 0 1 |
| 27.45 | 1000 | 1 0 4 |
| 31.33 | 262 | 0 1 5 |
| 32.92 | 324 | 1 1 0 |
| 36.27 | 141 | 1 1 3 |
| 43.38 | 129 | 0 2 4 |
| 44.74 | 155 | 0 1 8 |
| 45.05 | 177 | 1 1 6 |
| 55.51 | 136 | 3 -1 4 |
| 57.29 | 130 | 2 -1 9 |
| 57.79 | 106 | 3 -2 5 |
| 58.79 | 131 | 3 0 0 |

~~~~~

Computed XRD peak list
Compound: TlCl3F12
Radiation: Cu Kα (λ = 1.5418 Å)
Structure: the PBE geometry in Alexandria
Intensities are scaled so that the largest is 100.

Unit cell a=8.469 b=8.469 c=8.469 alpha=79.42 beta=79.42 gamma=79.42
Fractional positions:
Tl1 0.000 0.000 0.000
Tl2 0.500 0.500 0.500
Cl1 0.082 0.751 0.418
Cl2 0.251 0.582 0.918
Cl3 0.418 0.082 0.751
Cl4 0.582 0.918 0.251
Cl5 0.751 0.418 0.082
Cl6 0.918 0.251 0.582
F1 0.043 0.628 0.596
F2 0.096 0.128 0.543
F3 0.104 0.797 0.864
F4 0.128 0.543 0.096
F5 0.137 0.895 0.202
F6 0.202 0.137 0.895
F7 0.297 0.604 0.364
F8 0.364 0.297 0.604
F9 0.375 0.405 0.955
F10 0.395 0.637 0.702
F11 0.405 0.955 0.375
F12 0.455 0.905 0.875
F13 0.543 0.096 0.128
F14 0.596 0.043 0.628
F15 0.604 0.364 0.297
F16 0.628 0.596 0.043
F17 0.637 0.702 0.395
F18 0.702 0.395 0.637
F19 0.797 0.864 0.104
F20 0.864 0.104 0.797
F21 0.875 0.455 0.905
F22 0.895 0.202 0.137
F23 0.905 0.875 0.455
F24 0.955 0.375 0.405

Principal peaks in the range 10 to 90 degrees two-theta, low angle first:
2theta	I/Imax
14.00	100.0
16.38	26.3
21.61	40.5
22.63	27.5
22.81	30.8
27.24	50.9
28.58	19.6
35.52	32.5
40.59	29.1
55.23	20.4

Computed XRD peak list
Compound: TlCl2F6
Radiation: Cu Kα (λ = 1.5418 Å)
Structure: the PBE geometry in Alexandria
Intensities are scaled so that the largest is 100.

Unit cell a=9.017 b=7.222 c=10.118 alpha=59.93 beta=43.88 gamma=76.19
Fractional positions:
Tl1 0.000 0.000 0.000
Tl2 0.250 0.250 0.250
Cl1 0.152 0.575 0.796
Cl2 0.454 0.774 0.098
Cl3 0.575 0.152 0.476
Cl4 0.774 0.454 0.675
F1 0.007 0.862 0.224
F2 0.026 0.343 0.243
F3 0.051 0.416 0.488
F4 0.106 0.384 0.754
F5 0.205 0.762 0.834
F6 0.343 0.026 0.388
F7 0.384 0.106 0.757
F8 0.416 0.051 0.045
F9 0.493 0.496 0.866
F10 0.496 0.493 0.144
F11 0.762 0.205 0.199
F12 0.862 0.007 0.907

Principal peaks in the range 10 to 90 degrees two-theta, low angle first:
2theta	I/Imax
14.48	100.0
18.29	25.6
21.24	49.7
21.92	28.7
25.12	32.7
25.40	42.8
27.00	16.8
35.04	17.1
35.39	17.4
39.14	20.2

Step 3. Generate key # --genkey --secret /tmp/myshared.key

Example key: # more /tmp/myshared.key # # 2048 bit OpenVPN static key # -----BEGIN OpenVPN Static key V1----- ef9b9f0bff2268eb3966d6a408398db1 f7e6f9823402c76560d1ce25b8d46be4 1c58e656d2e7633d2481e74b9e328618 3c9e6a7528a46b2474bc08838ae19a4c 7f19878bd381cf8cfb0c4dc14fa52622 7360921e50710d0af689476388df0a25 54e1e86b2c9fcc4139dba763b97861bc 36cd477c6f293e8ca07e1bffaba697bf 948b65c213c5747cf0645fb7886bac4b 893953f697640dff961b95cfd8d2c0f3 ef976540e9c004ed72494648462496be 969a70e7d53910f3415f8d829bdb192e b4aad90e91baec25cac0b260205823e9 e945938896fdd9d33a56c44b90cbd5ce 0d0373923e2cdd33192fdfb4d06399fd 9eb0321402aadb116004721c5249ce61 -----END OpenVPN Static key V1-----

Step 4. Copy key into your computer. Step 5. Delete generated key file. # rm /tmp/myshared.key Step 6. Logout # exit Step 7. Choose 0 and press enter.

Setup pfSense

This document assumes that you have existing and working pfSense environment.

Step 1. Select OpenVPN link.

Step 2. Select add “new server button”.

Step 3. Create OpenVPN server.

/*
Theoretical PXRD pattern of CoH18C20N4O2 for a wavelength of 1.5418 Å, from a PBE+U-relaxed structure.
Intensities are scaled so that the largest is 100.

Most intense lines, 15° ≤ 2θ ≤ 90°, low angle first:
two_theta, d [Å], I (rel.)
15.32, 5.784, 61
18.28, 4.853, 100
23.15, 3.842, 41
23.52, 3.783, 72
24.14, 3.687, 88
24.89, 3.578, 64
25.36, 3.513, 32
27.52, 3.241, 61
32.67, 2.741, 55
37.46, 2.401, 32

Structural model:
abc: 6.408 8.128 8.697
angles: 86.69 73.57 87.98
Element x y z (fractional)
Co (0.000, 0.000, 0.000)
H (0.124, 0.575, 0.750)
H (0.130, 0.307, 0.556)
H (0.238, 0.795, 0.440)
H (0.279, 0.932, 0.680)
H (0.289, 0.569, 0.070)
H (0.374, 0.129, 0.080)
H (0.442, 0.265, 0.306)
H (0.467, 0.558, 0.340)
H (0.495, 0.122, 0.783)
H (0.505, 0.878, 0.217)
H (0.533, 0.442, 0.660)
H (0.558, 0.735, 0.694)
H (0.626, 0.871, 0.920)
H (0.711, 0.431, 0.930)
H (0.721, 0.068, 0.320)
H (0.762, 0.205, 0.560)
H (0.870, 0.693, 0.444)
H (0.876, 0.425, 0.250)
C (0.037, 0.324, 0.861)
C (0.098, 0.810, 0.543)
C (0.106, 0.246, 0.454)
C (0.123, 0.886, 0.676)
C (0.175, 0.450, 0.775)
C (0.189, 0.681, 0.063)
C (0.242, 0.146, 0.189)
C (0.279, 0.223, 0.317)
C (0.367, 0.215, 0.790)
C (0.385, 0.381, 0.729)
C (0.615, 0.619, 0.271)
C (0.633, 0.785, 0.210)
C (0.721, 0.777, 0.683)
C (0.758, 0.854, 0.811)
C (0.811, 0.319, 0.937)
C (0.825, 0.550, 0.225)
C (0.877, 0.114, 0.324)
C (0.894, 0.754, 0.546)
C (0.902, 0.190, 0.457)
C (0.963, 0.676, 0.139)
N (0.044, 0.093, 0.191)
N (0.159, 0.181, 0.869)
N (0.841, 0.819, 0.131)
N (0.956, 0.907, 0.809)
O (0.278, 0.809, 0.987)
O (0.722, 0.191, 0.013)

* * * * *

For La2PuAl4Au3, a structure optimized by DFT (GGA-PBE) gives the calculated X-ray powder pattern in this record (Cu Kα X-rays).
Lines closer than 0.1° are merged.

Atomic structure:
Unit cell a=4.461 b=4.461 c=11.404 alpha=90.00 beta=90.00 gamma=90.00
Space group P-4m2 (No. 115)
One atom of each set of equivalent atoms:
La 0.000 0.500 0.243 [2 per cell]
Pu 0.000 0.000 0.500 [1 per cell]
Al 0.000 0.000 0.000 [1 per cell]
Al 0.000 0.500 0.665 [2 per cell]
Al 0.500 0.500 0.000 [1 per cell]
Au 0.000 0.500 0.883 [2 per cell]
Au 0.500 0.500 0.500 [1 per cell]

Largest 10 diffraction maxima, in order of rising 2θ, 2θ from 15° to 90°:
3.801 Å, I 35, hkl 0 0 3
3.514 Å, I 35, hkl 1 0 2
3.040 Å, I 99, hkl 1 1 1
2.893 Å, I 72, hkl 1 0 3
2.760 Å, I 100, hkl 1 1 2
2.231 Å, I 73, hkl 2 0 0
2.115 Å, I 35, hkl 1 1 4
1.767 Å, I 34, hkl 2 1 3
1.628 Å, I 26, hkl 1 1 6
1.577 Å, I 25, hkl 2 2 0



For LaMgGa4Cu2, a structure optimized by DFT (GGA-PBE) gives the calculated X-ray powder pattern in this record (Cu Kα X-rays).
Lines closer than 0.1° are merged.

Atomic structure:
Unit cell a=4.2986 b=4.2986 c=28.1555 alpha=90.00 beta=90.00 gamma=120.00
Space group R-3m (No. 166, hexagonal axes)
One atom of each set of equivalent atoms:
La 0.0000 0.0000 0.0000 [3 per cell]
Mg 0.0000 0.0000 0.5000 [3 per cell]
Ga 0.0000 0.0000 0.1197 [6 per cell]
Ga 0.0000 0.0000 0.4004 [6 per cell]
*/

- Protocol : TCP (this is communication protocol) - Local port 1194 (server listens this port) - Address pool: (client takes tun0 address from this pool) - Cryptography: BF-CBC (128-bit) (we use this cryptography cipher algorithm) - Authentication method: Share key (paste here your generated key) - LZO compression (put mark for this) - Description: OPTIONAL Insert tunnel description - Click Save.

Step 4. Select Rules.

Step 5. Select “Add new rule”.

Step 6. Add rule to allow OpenVPN tunnel traffic.

- Action: Pass (allow traffic) - Interface: WAN (select WAN interface if your client connects this interface/address) - Protocol: TCP - Log: Put mark here (Yes we want to log this traffic) - Destination port range: 1194 (allow OpenVPN tunnel connections) - Description: OPTIONAL Insert rule description - Click Save Setup OpenWRT

This document assumes that you have working OpenWRT environment. This document assumes that you have update your OpenWRT packages list access to backports.

Step 1. Take ssh session to your OpenWRT box. Step 2. Paste your key file /etc/openvpn directory. (OpenWRT use vi editor. vi help /3/) # vi /etc/openvpn/myshared.key - Inside vi press Esc and then i - Paste your key - Press Esc - Write :wq! and press enter Step 3. Generate configuration file to /etc/config/ directory

dev tun0 # Generate/use tunnel 0 proto tcp-client # Use tcp keepalive 10 60 # Some ping like messages persist-tun # Some persist options persist-key # Some persist options ifconfig # Tun0 ip-address route # Route for corporate network remote 1194 # OpenVPN server address resolv-retry infinite # Some Road warrior stuff nobind # We don’t need to specific port number mute-replay-warnings # Some WLAN stuff secret /etc/openvpn/myshared.key # Where our secret file is located comp-lzo # Enable compression verb 3 # Log verbosity

Example. myopenvpn.cfg file

Step 4. Generate startup script for /etc/.d directory.

# sure that tun module is loaded insmod tun # Start OpenVPN daemon openvpn --daemon --config /etc/config/openvpn.oma --ifconfig-nowarn # Allow traffic to tunnel /4/ -A INPUT -i tun+ -j ACCEPT # Allow forwarding traffic from tunnel iptables -A FORWARD -i tun+ -j ACCEPT # Allow forwarding traffic from br0 interface to tunnel iptables -A FORWARD -i br0 -o tun+ -j ACCEPT

Example. S98openvpn file

Step 5. Restart your OpenWRT box and watch your pfSense firewall and OpenVPN logs.

There should be something like this Jan 11 12:52:47 openvpn[9494]: Initialization Sequence Completed Jan 11 12:52:46 openvpn[9494]: Peer Connection Initiated with Jan 11 12:52:46 openvpn[9494]: TCPv4_SERVER link remote: Jan 11 12:52:46 openvpn[9494]: TCPv4_SERVER link local (bound): [undef]:1194 Jan 11 12:52:46 openvpn[9494]: TCP connection established with

What comes next are calculated crystals, not part of the article:
LiCo2CuO6: theoretical powder diffraction line list (Cu Kα (weighted mean of Kα1 and Kα2)), based on a GGA+U-relaxed structure.

```
LiCo2CuO6
1.0
6.642 -1.410 0.000
6.642 1.410 0.000
-1.539 0.000 5.530
Li Co Cu O
1 2 1 6
direct
0.000 0.000 0.000
0.660 0.660 0.824
0.999 0.999 0.491
0.325 0.325 0.178
0.147 0.147 0.602
0.162 0.162 0.043
0.488 0.488 0.262
0.512 0.512 0.725
0.809 0.809 0.948
0.852 0.852 0.406
```

Main lines, sorted by position (2θ = 10–90°):
2θ/deg	I (rel.)
18.2	100
36.0	10
37.3	22
38.2	7
42.4	17
45.1	29
47.5	6
58.9	9
62.2	8
64.9	8

----------

The following is a simulated powder diffractogram of La4TlHgO. It was derived from DFT lattice parameters and positions (PBE), using Cu Kα.
No peak broadening, texture or thermal motion is included.

Most intense lines, 2θ from 10° to 90°, in order of rising 2θ:
| 2theta | d [Å] | I (rel.) |
| --- | --- | --- |
| 25.4 | 3.506 | 329 |
| 27.6 | 3.237 | 701 |
| 31.9 | 2.810 | 272 |
| 32.1 | 2.788 | 298 |
| 33.2 | 2.695 | 1000 |
| 36.2 | 2.479 | 706 |
| 49.0 | 1.859 | 325 |
| 49.2 | 1.853 | 180 |
| 52.2 | 1.751 | 166 |
| 63.2 | 1.471 | 160 |

Cell and atoms:
```
data_La4TlHgO
_chemical_formula_sum 'La16 Tl4 Hg4 O4'
_space_group_name_H-M_alt 'C m c m'
_space_group_IT_number 63
_space_group_name_Hall '-C 2c 2'
_cell_length_a 7.001
_cell_length_b 16.857
_cell_length_c 7.024
_cell_angle_alpha 90.00
_cell_angle_beta 90.00
_cell_angle_gamma 90.00
loop_
_atom_site_label
_atom_site_type_symbol
_atom_site_fract_x
_atom_site_fract_y
_atom_site_fract_z
_atom_site_occupancy
La1 La 0.000 0.071 0.250 1
La2 La 0.000 0.421 0.250 1
La3 La 0.250 0.250 0.000 1
Tl1 Tl 0.000 0.389 0.750 1
Hg1 Hg 0.000 0.116 0.750 1
O1 O 0.000 0.252 0.250 1
```

=====

The following is a simulated powder diffractogram of La2Hg2Os. It was derived from DFT lattice parameters and positions (PBE), using Cu Kα.
No peak broadening, texture or thermal motion is included.

Most intense lines, 2θ from 10° to 90°, in order of rising 2θ:
| 2theta | d [Å] | I (rel.) |
| --- | --- | --- |
| 20.8 | 4.272 | 301 |
| 29.6 | 3.021 | 1000 |
| 30.7 | 2.913 | 176 |
| 37.0 | 2.430 | 518 |
| 42.3 | 2.136 | 383 |
| 48.0 | 1.894 | 499 |
| 57.4 | 1.604 | 147 |
| 65.9 | 1.417 | 196 |
| 69.6 | 1.351 | 178 |
| 74.9 | 1.268 | 144 |

Cell and atoms:
```
data_La2Hg2Os
_chemical_formula_sum 'La4 Hg4 Os2'
_space_group_name_H-M_alt 'I 4/m m m'
_space_group_IT_number 139
_space_group_name_Hall '-I 4 2'
_cell_length_a 6.042
_cell_length_b 6.042
_cell_length_c 7.964
_cell_angle_alpha 90.00
_cell_angle_beta 90.00
_cell_angle_gamma 90.00
loop_
_atom_site_label
_atom_site_type_symbol
_atom_site_fract_x
_atom_site_fract_y
_atom_site_fract_z
_atom_site_occupancy
La1 La 0.000 0.500 0.250 1
Hg1 Hg 0.000 0.000 0.165 1
Os1 Os 0.000 0.000 0.500 1
```

=====

The following is a simulated powder diffractogram of La4Hg3Os. It was derived from DFT lattice parameters and positions (PBE), using Cu Kα.
No peak broadening, texture or thermal motion is included.

Links /1/ /2/ /3/ /4/